Thursday, March 30, 2017

Thrift Shop Book Covers: "Recalled to Life"

Recalled to Life was serialized in the June and August, 1958 issues of Infinity Science Fiction. The edition that caught my eye is the mass market published by Lancer Focus in 1967. The dominantly orange high tech machinery below a solid white background is marvelously dated. The artist: Unknown (to me at least).

The opening paragraph:
“That morning James Harker was not expecting anything unusual to happen. He had painstakingly taught himself, these six months since election, not to expect anything. He had returned to private law practice, and the  Governorship and all such things were now bright memories, growing dimmer each month.”

Sunday, March 12, 2017

Western Fiction Review's Take on RED ROCK RAMPAGE

Western Fiction Review reviews Blaze! Red Rock Rampage in a very nice way. Steve Myall, editor of WFR, is an expert on series Western fiction and his review means a great deal to me. A few of my favorite parts:

“This is Ben Boulden’s first entry into this multi-authored series and what a terrific addition it is. Filled with action from the word go the author weaves a twisting plot that sees both J.D. and Kate facing many deadly situations.”
“Ben Boulden’s descriptive writing puts you right there in the thick of the action and his characterization of both good and bad is very well drawn, enabling you to share their emotions.”
“…this fast moving tale that ought to please all fans of westerns.”
You can read the entire review at Western Fiction Review.

Blaze! Red Rock Rampage is available in ebook, exclusively for Kindle (also available for Kindle Unlimited), and paperback everywhere.

If you read RRR, let send me an email and let me know what you think.

Friday, March 10, 2017

Here the piece breaks off for quantum chemistry results >
/*
1.
{"formula": "C6H7O", "method": "the ωB97M-V functional and the def2-TZVPD basis", "e_homo_ha": [-0.55215, -0.55214], "homo_lumo_gap_ev": [8.3, 8.3], "spin_multiplicity": 1, "relative_energy_kj_mol": 125.9, "total_charge": 1, "elements": ["C", "C", "C", "C", "C", "C", "O", "H", "H", "H", "H", "H", "H", "H"], "xyz": [[0.781, 1.455, -0.083], [1.980, 0.769, 0.080], [-0.238, 0.488, -0.134], [0.530, -0.739, -0.065], [-0.138, -2.102, -0.046], [-1.694, 0.538, -0.012], [1.834, -0.508, -0.036], [0.816, 2.570, -0.075], [2.926, 1.081, 0.227], [0.429, -3.053, 0.209], [-1.141, -2.284, -0.255], [-2.082, 0.142, -0.979], [-1.947, 1.515, 0.217], [-2.058, 0.128, 0.955]], "nbo_charge": [-0.33, 0.34, 0.16, 0.18, -0.09, -0.69, -0.35, 0.28, 0.23, 0.25, 0.22, 0.27, 0.26, 0.28]}



2.
{"formula": "C15H14Cl2N4PtS2", "method": "the ωB97M-V functional and the def2-TZVPD basis", "e_homo_ha": [-0.55010, -0.55010], "homo_lumo_gap_ev": [6.1, 6.1], "spin_multiplicity": 1, "total_charge": 2, "elements": ["Pt", "C", "C", "N", "C", "C", "S", "C", "C", "S", "C", "N", "C", "H", "H", "H", "H", "H", "H", "H", "H", "N", "C", "C", "C", "C", "C", "N", "C", "H", "H", "H", "H", "Cl", "C", "Cl", "H", "H"], "xyz": [[-0.429, 0.737, -0.720], [-3.111, -1.736, -0.737], [-1.844, -2.096, -1.408], [-0.780, -1.341, -1.394], [0.294, -1.893, -2.046], [0.014, -3.111, -2.596], [-1.605, -3.569, -2.272], [1.543, -1.155, -2.035], [2.739, -1.507, -2.590], [3.937, -0.335, -2.247], [2.781, 0.590, -1.364], [1.595, 0.038, -1.355], [3.144, 1.853, -0.685], [-2.994, -0.789, -0.207], [-3.403, -2.510, -0.028], [-3.923, -1.647, -1.459], [0.656, -3.755, -3.161], [2.961, -2.377, -3.172], [4.186, 2.088, -0.878], [3.002, 1.766, 0.392], [2.534, 2.683, -1.038], [-0.152, -3.094, 4.651], [-0.165, -2.083, 4.118], [-0.186, -0.808, 3.488], [-0.154, 0.355, 4.260], [-0.163, 1.578, 3.611], [-0.228, 1.602, 2.227], [-0.274, 0.487, 1.499], [-0.242, -0.698, 2.097], [-0.118, 0.293, 5.338], [-0.120, 2.502, 4.162], [-0.233, 2.542, 1.691], [-0.254, -1.582, 1.472], [-0.197, 3.326, -1.076], [-1.880, 3.547, -1.561], [-2.624, 1.941, -1.597], [-1.915, 3.991, -2.560], [-2.392, 4.167, -0.822]], "nbo_charge": [0.99, -0.68, 0.10, -0.45, 0.09, -0.38, 0.61, 0.07, -0.38, 0.60, 0.10, -0.48, -0.67, 0.23, 0.27, 0.27, 0.28, 0.27, 0.27, 0.25, 0.24, -0.19, 0.22, -0.16, -0.08, -0.22, 0.06, -0.58, 0.08, 0.26, 0.26, 0.20, 0.22, 0.09, -0.39, 0.08, 0.27, 0.27]}



3.
*/
So much for the quantum chemistry results >

Don Pendleton's Stewart Mann Series by Stephen Mertz

I read this essay about five early Don Pendleton novels, featuring Stewart Mann rather than Mack Bolan, written by DP devotee, all-around great human, and terrific writer Stephen Mertz a few years ago. Steve was kind enough to allow me to reprint it here. The books are difficult to find, and maybe even harder is trying to filch a decent cover scan or two. And if you find these books, take pity and send a few to me.

I was in need of some light reading, and so just finished one of Don’s earliest books, a Stewart Mann, private eye novel called The Hot One (1966), written as by Stephan Gregory.

It was a hoot and if you haven’t yet sampled the Mann series (there were five books), you owe yourself a glance at another side of Don that he rarely (understandably) revealed in the Bolan novels: he was one funny dude.  I’ll always remember his warm Arkansas chuckle.  The Mann novels are cast in the Shell Scott/Carter Brown style of sexy, breezy, funny, hard-hitting short mysteries that were popular in the 1950s and 60s.  In fact, The Hot One totally holds its own in the Prather level of ribald detective fun. 

This isn’t the voice Don used in his Joe Copp private eye books, by which time he’d firmly carved his own distinctive writing style, but is that of an enthusiastic young writer stretching his muscles for the main event (Bolan is three years away, remember).  But there is foreshadowing of the big guy to come.  Towards the end of this book, Mann has his moment of despair and considers bailing when he has a chance, but Don has him reflect, “Bug out, Mann, bug out.  And I started to.  But I knew I’d spend the rest of my life feeling like a whipped pup.  I did care about the people involved.” 

But about the humor: as this is a “sexy” 1966 paperback, most of the funny stuff are witty asides about this gal or that; my favorite is when Stew and a chick are trapped and it looks for sure like they’re gonna die, but when she sees Mann, she starts touching up her face.  Don writes, “I watched idly, marveling at that creature called woman.  At the gates of hell a woman would ask Lucifer for a comb and lipstick.”  The plot is the purest hokum, seat-of-the-pants plotting with holes big enough to drive the War Wagon through…and I loved every word.

Well, almost every word. 

A few caveats are in order if this series sounds interesting enough to you to go on-line in search of it.  The ones to start with are The Insatiables and Madam Murder, which were published exactly as Don wrote them.  The Hot One and The Sexy Saints were “spiced up” with about 10 pages of graphic sex (written by the editor) scattered throughout each book.  Don was a romantic writer and these passages are easy to spot in their crudeness (and easy to skip over).  More problematic is Don’s wonderful naming of Mann’s self-destructive sex impulse: ol’ creature.  Just when everything is going hunky-dory for Mann, on a case or with life in general, ol’ creature stirs.  Stew got booted from the Marines for doing a General’s daughter.  Kicked off the cops for doing the captain’s wife.  It’s a great literary device.  Well, in Saints and Hot One, ol’ creature becomes ol’ baldy.  Which I think is hilarious.  Whenever the subject came up in conversation, Don invariably repeated the new name, rolled his eyes and there was that soft Arkansas chuckle again. 

The only Mann to avoid is The Sex Goddess, which is incomprehensible through no fault of Don’s.  The book was over the word-length so the editor arbitrarily deleted three consecutive chapters from the middle of the book.  Yowza.

Upon finishing The Hot One, I found myself leafing through my correspondence with Don from when I was just a writer-in-the-making—a year from my first professional sale, two years from my first book sale.  I had initially written Don a straight up fan letter, and waited awhile before letting on that I nurtured dreams of a writing career.  In a letter to me dated 24 March 1974, Don wrote:
“I could have guessed that you too are a writer.  Keep at it.  Nobody ever said it was easy—and I’ll let you in on another little truth.  The more “successful” you get, the harder “it” gets.  I used to knock out those Stephan Gregory books in 5 or 6 days and never feel a pain.  Now I pace the floor and sweat blood to get 8 or 10 pages a day.  But it’s all worth it, so hell keep at it.”

Thanks, Don—for Stewart Mann, and for the advice.

Friday, March 03, 2017

Bullet Reviews: A smattering of praise

You may have noticed already (or not) that I’ve been struggling with posting new reviews on the blog recently. This is due to myriad reasons, none are of interest to anyone other than me (but check out my short story review column in Mystery Scene Magazine and my new book Blaze! Red Rock Rampage). So, to keep things moving I thought I would post a few small reviews, to the point with no fluff, written for places like Amazon, Goodreads, etc. Each review runs short—anywhere from 40 to 150 words—but I hope everything needed for an appropriate review are still there.

Night Show by Richard Laymon

An early Richard Laymon novel, Night Show, has all the elements that make his work special. Likable, if poor decision making, characters, cinematic plotting, smooth prose, and a mixture of subtle humor and horror. The setting, backstage B-movie horror special effects, is a bonus, too. 

The Dead Man: Face of Evil by Lee Goldberg and William Rabkin

The first entry in The Dead Man series, Face of Evil, is entertaining, odd (in a good way) and downright fun. Matt Cahill, a normal working class guy, finds himself in a very abnormal situation. Dead, but still breathing with a nemesis called Mr. Dark. It is an enjoyable mixture of action, suspense and horror. Humor and a tongue-in-cheek quality add marvelously to this very readable story. A terrific start to the series and I very much look forward to the other books.

The Dead Man: The Blood Mesa by James Reasoner

## The piece is interrupted by quantum chemistry results
~~~
DFT (ωB97M-V/def2-TZVPD) results for a 15-piece molecular cluster, C24H74F3N2O15 overall at a distorted geometry.

- charge = +1
- molar mass (g/mol) = 687.85
- F_max (eV/A) = 2.782
- gap between HOMO and LUMO (eV) = 8.529
- spin multiplicity = 1

CARTESIAN COORDINATES (ANGSTROEM)
1 C 0.268 -3.157 2.093
2 N 1.265 -2.280 2.780
3 C 0.700 -0.951 3.130
4 N 0.442 -0.215 1.869
5 C -0.757 0.218 1.533
6 C -2.121 0.114 2.342
7 C -2.779 -1.351 2.255
8 O -4.151 -1.209 2.655
9 C -5.080 -1.468 1.591
10 C -5.997 -0.149 1.466
11 F -6.095 0.563 2.645
12 F -5.371 0.637 0.468
13 F -7.242 -0.578 0.990
14 C -0.523 0.897 0.091
15 C 0.775 0.129 -0.484
16 C 1.561 0.013 0.906
17 H -0.414 -2.605 1.375
18 H -0.406 -3.720 2.827
19 H 0.868 -3.894 1.470
20 H 1.499 -2.790 3.647
21 H 1.506 -0.405 3.732
22 H -0.205 -1.078 3.800
23 H -2.826 0.909 1.922
24 H -1.964 0.320 3.454
25 H -2.275 -2.007 3.047
26 H -2.614 -1.872 1.266
27 H -4.617 -1.602 0.570
28 H -5.710 -2.361 1.916
29 H -0.448 2.033 0.114
30 H -1.349 0.515 -0.601
31 H 1.336 0.803 -1.212
32 H 0.556 -0.858 -1.032
33 H 1.959 1.085 1.058
34 H 2.460 -0.665 0.945
35 C -1.075 -1.099 7.220
36 O -1.027 -1.955 6.084
37 H -0.196 -0.455 7.212
38 H -1.975 -0.480 7.181
39 H -1.075 -1.696 8.134
40 H -1.813 -2.513 6.114
41 C 0.782 -6.993 3.290
42 O 1.252 -6.039 2.345
43 H 0.518 -6.473 4.211
44 H -0.102 -7.500 2.896
45 H 1.567 -7.723 3.501
46 H 1.479 -6.522 1.542
47 C 0.042 -3.428 -2.477
48 O -0.631 -2.180 -2.617
49 H 1.084 -3.240 -2.221
50 H -0.428 -4.011 -1.680
51 H -0.004 -3.978 -3.419
52 H -1.549 -2.377 -2.845
53 C 5.882 -0.151 1.121
54 O 4.803 0.500 0.461
55 H 5.484 -0.970 1.720
56 H 6.581 -0.551 0.382
57 H 6.397 0.556 1.776
58 H 5.179 1.218 -0.059
59 C -6.108 4.322 3.527
60 O -5.264 3.657 2.596
61 H -5.638 5.261 3.816
62 H -7.077 4.531 3.065
63 H -6.245 3.699 4.414
64 H -5.701 2.831 2.355
65 C 1.877 4.141 0.762
66 O 2.552 3.103 0.064
67 H 1.191 3.694 1.484
68 H 2.605 4.761 1.291
69 H 1.311 4.750 0.054
70 H 3.149 3.529 -0.565
71 C -4.043 -3.916 -4.717
72 O -2.908 -3.176 -4.269
73 H -3.788 -4.975 -4.732
74 H -4.880 -3.755 -4.033
75 H -4.317 -3.597 -5.721
76 H -3.160 -2.245 -4.266
77 C 5.405 5.798 -1.087
78 O 4.040 5.604 -1.464
79 H 5.438 6.155 -0.057
80 H 5.948 4.852 -1.158
81 H 5.868 6.541 -1.741
82 H 4.039 5.289 -2.376
83 C -7.372 -4.592 -6.127
84 O -6.165 -4.282 -6.813
85 H -7.123 -4.997 -5.147
86 H -7.970 -3.686 -6.002
87 H -7.938 -5.336 -6.692
88 H -6.410 -3.926 -7.675
89 C -0.543 -5.565 -6.372
90 O 0.588 -4.828 -5.925
91 H -0.286 -6.624 -6.390
92 H -1.381 -5.408 -5.688
93 H -0.820 -5.243 -7.379
94 H 0.335 -3.897 -5.917
95 C 3.841 -5.170 -2.635
96 O 2.484 -5.373 -3.004
97 H 3.874 -4.805 -1.609
98 H 4.388 -6.114 -2.700
99 H 4.298 -4.430 -3.297
100 H 2.480 -5.695 -3.914
101 C 3.386 8.802 0.250
102 O 3.823 8.466 -1.059
103 H 3.142 9.864 0.279
104 H 2.496 8.218 0.502
105 H 4.183 8.595 0.967
106 H 4.032 7.523 -1.054
107 C -1.480 4.414 -2.189
108 O -0.349 5.145 -1.734
109 H -1.225 3.355 -2.216
110 H -2.319 4.566 -1.506
~~~
## Here the piece continues

The Blood Mesa, the fifth installment of The Dead Man series, is an entertaining, non-stop action horror novel. Matt Cahill, The Dead Man, is in the Four Corners area of New Mexico at an Archaeological dig where Mr. Dark’s intentions are plain. Everyone must die. A smooth, action-oriented horror novel, high on entertainment. A fast, enjoyable and downright fun read. It reminded me a touch of Richard Laymon’s excellent horror novels, particularly One Rainy Night

The Dead Man: Carnival of Death by Bill Crider

Bill Crider’s Carnival of Death, the ninth book in The Dead Man series, is as much fun as a reader can have with paper and ink. Matt Cahill, The Dead Man, is working security for a carnival when the evil entity Mr. Dark begins playing games and the carnival goers start behaving in violent and disturbing ways. And it is up to Matt and his trusty ax to save the day. A carnival setting is similar to eating cotton candy without any of the less savory side effects (headaches, toothaches, grouchiness), and this story never faltered in its delivery. Action-oriented horror with splatter, a fortune telling love interest and (did I already say this?) a terrific setting. 

Tales from the Otherverse, edited by James Reasoner

Tales from the Otherverse is an entertaining and surprising anthology of alternate history stories. Bill Crider’s story “It Doesn’t Matter Anymore” deservedly won a Sidewise Award for best alternate history short story. A world where Buddy Holly didn’t die in an Iowa plane crash and Elvis dumped Colonel Tom Parker as his manager turns out far differently than I would have suspected. “The Hero of Deadwood” by anthology editor James Reasoner is a clever retelling of Wild Bill Hickock’s story with a single moment changing the entire tale. The exchange of seats at a Deadwood poker game, keeping Hickock’s back against the wall.

There is also a fine Stan Wade story from John Hegenberger and seven other entertaining tales from excellent writers like, Scott A. Cupp, Lou Antonelli, Cheryl Pierson, Keith West, Robert E. Vardeman, Scott D. Parker, and Richard Prosch. An anthology very much worth the price of admission.